
i've been on a real We Hate Movies kick recently and decided to finally look for We Are Strangers. even with my love for the podcast i was sort of ambivalent to the idea of an improvised movie. it started off a little bit too slow, though enjoyable, but by the time it got to Steve and Andrew's section together it had

i'd half-agree with this - Kintsugi's not the album i wanted it to be, but for me it does at least seem to hold more promise for whatever comes next. i liked Narrow Stairs well enough, mostly because I associate it with the first time I got to see them live, but almost never listen to it. Codes and Keys I appreciated

It's the most exciting thing that's happened to anywhere in Northamptonshire since that clown.

having just finished an essay on the worst of auteur theory for class (FUCK PETER WOLLEN AND FUCK AUTEUR-STRUCTURALISM), i'm just taking a moment to really bask in other people's criticism of the whole thing. fortunately our authorship module focuses more on tearing down the theory than applying it to film, but i

*skips straight to comments without reading the article* GREAT CASE, EVERYTHING CHECKS OUT, THE VERDICT IS YES ABSOLUTELY

something about it being at a concert really does slam it home hard, somehow. i went to see my favourite band last week, and all i could think of today was the sound of an audience full of voices audible even over the band, and the sense of unity with complete strangers when you look around and realise that everyone

yeah, this episode has made me actually interested in giving u2 another shot - they've always been one of those bands where i know i know a bunch of their songs from radio but have never cared enough to actually listen, and thought they were probably dicks, but the genuine care and enthusiasm for their work and fans

i've attempted it about five times and not really got into it, but finally i started and finished it a few weeks back. once i stopped trying so hard to build a chronologically-accurate picture of the narrative in my head and just aimed for a thematic/emotional understanding, it was really easy to get into. one of the

i'm glad to give a bit of a new spin on it then! it's definitely one of those that you can really miss the window on, but i got it at just the right time in my life and i'll always love it for that (as evidenced by the fact that it's nearly seven years later and i still can't resist chiming in about it!)

good lord i apologise for how long that post is, i'm going to bed.

Someone pasted data records at this point >
- - -
An optimized crystal structure of VH8C2N2O6F. Source: the Materials Project, functional PBE+U.

Summary:
Uncorrected energy   -6.10 eV per atom
Volume   10.0 A^3/atom
Calculated formation energy   -1.26 eV/atom

Unit cell a=11.444 b=9.584 c=7.299 alpha=90.00 beta=95.02 gamma=90.00
Space group P2_1/c (No. 14)
Inequivalent atoms, fractional coordinates:
V1 0.237 0.032 0.153 (multiplicity 4)
H1 0.026 0.606 0.850 (multiplicity 4)
H2 0.045 0.239 0.151 (multiplicity 4)
H3 0.082 0.131 0.508 (multiplicity 4)
H4 0.113 0.120 0.742 (multiplicity 4)
H5 0.335 0.039 0.638 (multiplicity 4)
H6 0.364 0.196 0.747 (multiplicity 4)
H7 0.409 0.042 0.844 (multiplicity 4)
H8 0.472 0.104 0.658 (multiplicity 4)
C1 0.227 0.731 0.124 (multiplicity 4)
C2 0.344 0.726 0.550 (multiplicity 4)
N1 0.053 0.154 0.635 (multiplicity 4)
N2 0.395 0.096 0.722 (multiplicity 4)
O1 0.166 0.663 0.672 (multiplicity 4)
O2 0.196 0.607 0.131 (multiplicity 4)
O3 0.208 0.126 0.964 (multiplicity 4)
O4 0.332 0.117 0.295 (multiplicity 4)
O5 0.360 0.591 0.551 (multiplicity 4)
O6 0.413 0.687 0.995 (multiplicity 4)
F1 0.097 0.074 0.271 (multiplicity 4)

---

An optimized crystal structure of Li9Mn2Co5O16. Source: the Materials Project, functional PBE+U.

Summary:
E above lowest polymorph   0 meV/atom
Uncorrected energy   -5.85 eV per atom
Volume   8.8 A^3/atom
Calculated formation energy   -1.86 eV/atom

Unit cell a=4.997 b=5.865 c=9.822 alpha=90.00 beta=100.54 gamma=90.00
Space group P2 (No. 3)
Inequivalent atoms, fractional coordinates:
Li1 0.000 0.000 0.000 (multiplicity 1)
Li2 0.244 0.506 0.753 (multiplicity 2)
Li3 0.245 0.002 0.754 (multiplicity 2)
Li4 0.245 0.246 0.248 (multiplicity 2)
Li5 0.245 0.759 0.248 (multiplicity 2)
Mn1 0.000 0.510 0.000 (multiplicity 1)
Mn2 0.500 0.243 0.000 (multiplicity 1)
Co1 0.000 0.253 0.500 (multiplicity 1)
Co2 0.000 0.754 0.500 (multiplicity 1)
Co3 0.500 0.004 0.500 (multiplicity 1)
Co4 0.500 0.504 0.500 (multiplicity 1)
Co5 0.500 0.756 0.000 (multiplicity 1)
O1 0.134 0.004 0.382 (multiplicity 2)
O2 0.134 0.738 0.890 (multiplicity 2)
O3 0.137 0.270 0.890 (multiplicity 2)
O4 0.139 0.506 0.385 (multiplicity 2)
O5 0.361 0.255 0.616 (multiplicity 2)
O6 0.365 0.757 0.615 (multiplicity 2)
O7 0.367 0.503 0.108 (multiplicity 2)
O8 0.399 0.005 0.111 (multiplicity 2)

---

An optimized crystal structure of CoH2O2. Source: the Materials Project, functional PBE+U.

Summary:
E above lowest polymorph   212 meV/atom
- - -

i can see why someone would think that about Paper Towns, and my opinion is definitely coloured by the massive amounts of overthinking and possible over-reading into things as a depressed 17 year old, but here's my interpretation ('you' being used in the general sense from now):

i remain undecided about whether to watch this or not. most of the comments i've seen across the internet are either from people who are generally disinterested in John Green's work, or from the rose-tinted glasses fanbase.

Yeah, it's the only reason I started watching. I've formed absolutely no judgement on any of the episodes that I have seen because my brain spends the whole time going 'Leeeeeee Paaaaaaace' and literally nothing else can process.

• Misplaced materials data:
____________
1.
! Mg14FeBiO16 PBE with a Hubbard U relaxed; values from VASP
! energy relative to the lowest polymorph listed for this composition	0.000	eV per atom
&SYSTEM
  ibrav = 0, nat = 32, ntyp = 4
/
ATOMIC_SPECIES
Mg 24.30 Mg.upf
Fe 55.84 Fe.upf
Bi 208.98 Bi.upf
O 16.00 O.upf
CELL_PARAMETERS angstrom
8.733 0.000 0.000
0.000 8.733 0.000
0.000 0.000 4.419
ATOMIC_POSITIONS crystal
Mg 0.000 0.250 0.000
Mg 0.000 0.500 0.500
Mg 0.000 0.750 0.000
Mg 0.236 0.500 0.000
Mg 0.242 0.242 0.500
Mg 0.242 0.758 0.500
Mg 0.250 0.000 0.000
Mg 0.500 0.000 0.500
Mg 0.500 0.236 0.000
Mg 0.500 0.764 0.000
Mg 0.750 0.000 0.000
Mg 0.758 0.242 0.500
Mg 0.758 0.758 0.500
Mg 0.764 0.500 0.000
Fe 0.000 0.000 0.500
Bi 0.500 0.500 0.500
O 0.000 0.000 0.000
O 0.000 0.254 0.500
O 0.000 0.500 0.000
O 0.000 0.746 0.500
O 0.230 0.500 0.500
O 0.250 0.250 0.000
O 0.250 0.750 0.000
O 0.254 0.000 0.500
O 0.500 0.000 0.000
O 0.500 0.230 0.500
O 0.500 0.500 0.000
O 0.500 0.770 0.500
O 0.746 0.000 0.500
O 0.750 0.250 0.000
O 0.750 0.750 0.000
O 0.770 0.500 0.500

2.
! Nb3VF6 PBE with a Hubbard U relaxed; values from VASP
! energy relative to the lowest polymorph listed for this composition	0.226	eV per atom
&SYSTEM
  ibrav = 0, nat = 10, ntyp = 3
/
ATOMIC_SPECIES
Nb 92.91 Nb.upf
V 50.94 V.upf
F 19.00 F.upf
CELL_PARAMETERS angstrom
5.257 0.000 0.000
2.226 5.753 0.000
0.394 0.026 12.431
ATOMIC_POSITIONS crystal
Nb 0.000 0.000 0.000
Nb 0.000 0.500 0.500
Nb 0.500 0.000 0.000
V 0.000 0.500 0.000
F 0.068 0.740 0.889
F 0.081 0.487 0.649
F 0.338 0.289 0.904
F 0.662 0.711 0.096
F 0.919 0.513 0.351
F 0.932 0.260 0.111

3.
Li4CrSbW2O12 | PBE with a Hubbard U | relaxed Values from VASP.

Structure (Quantum ESPRESSO input):
```
&SYSTEM
  ibrav = 0, nat = 20, ntyp = 5
/
ATOMIC_SPECIES
Li 6.94 Li.upf
Cr 52.00 Cr.upf
Sb 121.76 Sb.upf
W 183.84 W.upf
O 16.00 O.upf
CELL_PARAMETERS angstrom
5.173 0.000 0.000
-0.004 5.437 0.000
-0.005 -0.513 7.486
ATOMIC_POSITIONS crystal
Li 0.000 0.000 0.000
Li 0.006 0.012 0.533
Li 0.500 0.496 0.993
Li 0.508 0.451 0.555
Cr 0.005 0.434 0.800
Sb 0.503 0.934 0.297
W 0.001 0.437 0.299
W 0.506 0.932 0.797
O 0.120 0.425 0.060
O 0.190 0.739 0.369
O 0.202 0.117 0.750
O 0.309 0.240 0.372
O 0.320 0.625 0.751
O 0.373 0.922 0.050
O 0.630 0.920 0.547
O 0.687 0.611 0.237
O 0.698 0.226 0.858
O 0.798 0.738 0.861
O 0.824 0.115 0.238
O 0.891 0.417 0.541
```

4.
! Sr2MgCdWO6 PBE with a Hubbard U relaxed; values from VASP
! energy relative to the lowest polymorph listed for this composition	0.000	eV per atom
&SYSTEM
  ibrav = 0, nat = 11, ntyp = 5
/
ATOMIC_SPECIES
Sr 87.62 Sr.upf
Mg 24.30 Mg.upf
Cd 112.41 Cd.upf
W 183.84 W.upf
O 16.00 O.upf
CELL_PARAMETERS angstrom
5.514 0.000 0.000
-0.677 5.841 0.000
-1.858 -2.566 5.225
ATOMIC_POSITIONS crystal
Sr 0.179 0.237 0.423
Sr 0.821 0.763 0.577
Mg 0.500 0.500 0.000
Cd 0.500 0.000 0.000
W 0.000 0.500 0.000
O 0.173 0.182 0.847
O 0.200 0.633 0.814
O 0.351 0.628 0.301
O 0.649 0.372 0.699
O 0.800 0.367 0.186
O 0.827 0.818 0.153

5.
____________

If they had Lee Pace in a wet shirt as all of their promotional material I'd remember to watch this show more. Goddamn, that man is 100% babe.

Done it.

The long-drop toilets (essentially a bench with toilet seats several feet above some kind of shitpit) I've seen at some festivals are usually marginally less disgusting than porta-potties and intensely more hilarious. Treasured memories of being in one and hearing a splash and 'no, my phone!' from the next cubicle.

It would be me introducing my favourite shows to friends and seeing them get up to get a snack at the best parts, for eternity.

Even worse if there is free reign for anyone to add to the party music. Put it in the queue, fuckers, I see you trying to cut in! And no, guy who physically removed the laptop from my hands at a house party, we didn't want to listen to the first thirty seconds of every Oasis song ever.

Thank you for taking the time to read it. I appreciate that.

I don't think you are being deliberately hurtful but I also think you don't understand what people are actually upset about when things like this happen.